Material:
1.
Computed, not measured: a structure of composition C25H48Cl3N4NiO3SSi in a non-equilibrium geometry, with ωB97M-V/def2-TZVPD.

Values from the calculation:
Highest occupied orbital energy (spin up / spin down): -4.456 / -4.519 eV
Expectation value of S²: 2.006
Kohn-Sham gap (spin up / spin down): 0.254 / 0.257 hartree
2S+1: 3
Calculated total energy: -136135.1093 eV
Charge: -1
Max |F|: 1.78 eV Å⁻¹
Relative energy (zero: lowest compared OMol25 entry of this formula, charge and spin): 3.27 kJ/mol

The geometry in XYZ format:
```
86
Properties=species:S:1:pos:R:3:lowdin_charge:R:1
C 2.54 3.07 -1.07 -0.0452
C 1.52 3.59 -0.11 -0.2305
H 2.74 3.81 -1.84 0.0552
H 2.21 2.14 -1.57 0.0471
H 3.48 2.84 -0.56 0.0938
C 1.05 4.86 -0.14 -0.1341
C 1.47 5.91 -1.11 -0.1152
H 0.37 5.20 0.65 0.1019
H 2.11 5.55 -1.93 0.0568
H 2.00 6.74 -0.61 0.0711
H 0.57 6.35 -1.57 0.0626
Ni 0.93 -0.16 -0.31 0.0099
Cl 2.70 -1.24 0.45 -0.0814
Cl 1.14 -0.42 -2.52 0.0790
H -1.28 -6.29 0.28 0.0826
H 1.29 -6.21 0.03 0.0805
C -1.32 -5.49 -0.48 -0.0533
C 1.16 -5.40 -0.69 -0.0578
N -0.09 -4.70 -0.42 -0.1974
H -2.18 -4.82 -0.29 0.0842
C -0.15 -3.37 -0.24 -0.3298
O -1.19 -2.74 -0.03 -0.0165
H 1.99 -4.69 -0.61 0.0872
H 0.83 -2.87 -0.30 0.0467
H -1.41 -5.97 -1.47 0.0870
H 1.14 -5.84 -1.69 0.0832
H 0.18 2.87 -2.67 0.0839
H -1.32 4.47 -1.23 0.0675
C -0.72 2.28 -2.93 -0.0767
C -2.12 3.93 -1.76 -0.0675
N -1.75 2.54 -1.95 -0.1858
H -0.46 1.21 -2.93 -0.0196
C -2.45 1.54 -1.35 -0.3294
O -2.22 0.34 -1.50 -0.0352
H -3.03 3.97 -1.15 0.0783
H -3.25 1.92 -0.68 0.1278
H -1.06 2.59 -3.94 0.0887
H -2.29 4.43 -2.72 0.0834
O 0.29 1.65 0.22 -0.4906
C 1.03 2.60 0.92 -0.4171
C -1.11 3.46 1.99 -0.0522
C 0.23 3.17 2.08 -0.2098
H -1.64 3.20 1.08 0.1018
C -1.78 4.03 3.09 -0.0751
H 1.95 2.15 1.34 0.1325
C 0.94 3.38 3.27 -0.0365
H -2.84 4.28 2.99 0.0894
C -1.06 4.28 4.27 -0.1167
C 0.29 3.95 4.36 -0.1076
H 1.99 3.10 3.29 0.1139
H -1.57 4.75 5.10 0.0843
H 0.85 4.15 5.27 0.0954
Si 3.54 -1.82 -5.20 0.1079
Cl 3.83 0.24 -4.92 0.2608
C 1.91 -1.97 -6.11 -0.2279
C 3.80 -2.50 -3.48 -0.2428
C 4.80 -2.63 -6.35 -0.2281
H 1.15 -1.33 -5.63 0.0119
H 1.56 -3.01 -6.11 0.0284
H 2.01 -1.65 -7.16 0.0283
H 4.72 -2.32 -7.41 0.0211
H 4.64 -3.72 -6.34 0.0279
H 5.84 -2.46 -6.05 0.0212
H 3.14 -1.95 -2.78 -0.0609
H 4.84 -2.33 -3.16 0.0346
H 3.59 -3.57 -3.41 0.0244
C 0.48 -1.19 3.81 -0.1006
N -0.92 -1.54 3.58 -0.1941
C -1.47 -2.57 4.45 -0.0741
C -1.59 -1.03 2.54 -0.6009
S -0.69 0.06 1.53 0.8552
N -2.86 -1.34 2.23 -0.1789
C -3.90 -1.79 3.14 -0.0730
C -3.45 -0.78 1.02 -0.1152
H 0.78 -1.65 4.76 0.0754
H 0.57 -0.10 3.90 0.0694
H 1.13 -1.54 2.99 0.0519
H -2.20 -2.13 5.15 0.0896
H -1.89 -3.40 3.87 0.0940
H -0.65 -2.98 5.04 0.0784
H -4.40 -0.94 3.64 0.1001
H -4.64 -2.32 2.52 0.0866
H -3.55 -2.49 3.89 0.0359
H -3.70 0.27 1.15 0.0854
H -2.78 -0.88 0.17 0.0298
H -4.37 -1.33 0.82 0.0832
```



2.
Computed, not measured: a structure of composition C25H48Cl3N4O4SiTm in a non-equilibrium geometry, with ωB97M-V/def2-TZVPD.

Values from the calculation:
Highest occupied orbital energy: -8.011 eV
Expectation value of S²: 2.002
Kohn-Sham gap: 0.302 hartree
2S+1: 3
Calculated total energy: -115837.8375 eV
Max |F|: 1.95 eV Å⁻¹
Relative energy (zero: lowest compared OMol25 entry of this formula, charge and spin): 32.36 kJ/mol

The geometry in XYZ format:
```
86
Properties=species:S:1:pos:R:3:lowdin_charge:R:1
C -3.52 0.14 -2.81 -0.0478
C -3.10 1.38 -2.09 -0.2318
H -4.57 0.14 -3.12 0.0695
H -3.34 -0.72 -2.15 0.0291
H -2.88 -0.02 -3.70 0.0960
C -3.96 2.31 -1.63 -0.1231
C -5.45 2.27 -1.80 -0.1051
H -3.57 3.23 -1.19 0.1008
H -5.81 1.25 -1.99 0.0622
H -5.75 2.91 -2.65 0.0789
H -5.97 2.64 -0.90 0.0658
Tm 0.28 -0.53 0.09 0.8636
Cl 1.14 -1.08 -2.25 -0.0199
Cl -0.48 -2.60 1.29 0.0595
H 5.59 -2.68 2.14 0.0878
H 5.88 -3.78 0.05 0.0892
C 4.50 -2.76 2.12 -0.0180
C 4.80 -3.97 -0.04 -0.0311
N 4.06 -2.98 0.74 -0.1622
H 4.04 -1.84 2.48 0.0845
C 3.01 -2.34 0.24 -0.2980
O 2.43 -1.36 0.80 -0.1720
H 4.51 -3.91 -1.09 0.0958
H 2.65 -2.68 -0.74 0.0764

Brief:
The reader should filter the rows above: keep the lines with the word "charge".

Result:
Relative energy (zero: lowest compared OMol25 entry of this formula, charge and spin): 3.27 kJ/mol
Relative energy (zero: lowest compared OMol25 entry of this formula, charge and spin): 32.36 kJ/mol